Interim Applications (Syllabus 15) Flashcards
What is the meaning of application notice?
a document in which the applicant states his intention to seek a court order
What is the meaning of respondent?
the person against whom the order is sought; and such other person as the court may direct
Where can an application be made?
the general rule is that an application must be made to the court or County Court hearing centre where the claim was started
If the parties have a fixed trial date and one party wants to apply for an interim application, where should they apply?
to the court where the trial is to take place.
Where an interim application must be made by a certain time, when is it treated as being made ?
if the application notice is received by the court within that time.
What must an interim application notice include?
the application notice must state-
(1) what order the applicant is seeking; and
(2) briefly, why the applicant is seeking that order.
What is the general rule about application notices for interim applications?
that an application notice must be filed
When can an applicant make an application without filing an application notice?
(1) this is permitted by a rule or PD; or
(2) the court dispenses with the requirement for an application notice
Who must the application notice be served on?
each respondent
When must a copy of an application notice be served?
as son as practicable;e after it is filed and unless a PD suggests otherwise, at least 3 days before the court is to deal with the application.
What must accompany a copy of the application notice when it is served?
a copy of any written evidence in support and a copy of any draft order which the applicant has attached to his application
When might the court deal with an interim application without a hearing?
(1) the parties agree as to the terms of the order sought
(2) the parties agree that the court should dispose of the application without a hearing; or
(3) the court does not consider that a hearing would be appropriate.
Where the court has made an order granting or dismissing an interim application, what must be done?
a copy of the application notice and evidence in support must, unless the court orders otherwise, be served with the order on any party or other person-
(1) against whom the order was made and against whom the order was sought.
Can a person apply to have an interim order set aside?
Yes if they were not served with a copy of the application notice before an order was made.
When must a party apply to have an interim order set aside or varied?
within 7 days after the date on which the order was served on the person making the application.
If a party fails to attend the hearing of an application for an interim order what can the court do?
proceed in that party’s absence
If a party fails to attend a hearing for an interim order and the court makes an order what can happen?
the court may on application or of its own initiative, re-list the application.
What can the court do if it dismisses an application for an interim order, deeming it to be completely without merit?
the court’s order must record that fact and the court must at the same time consider whether it is appropriate to make a civil restraint order.
What must an application notice be?
signed and include:
(1) the title of the claim
(2) the reference number of the claim
(3) the all name of the applicant
(4) the address for service.
(5) a request for a hearing or a request that the application be dealt with without a hearing
When should an application be made?
as soon as it becomes apparent that it is necessary or desirable to make it
When may an application be made without serving an application notice?
(1) where there is exceptional urgency
(2) where the overriding objective is best furthered by doing so
(3) by consent of all parties
(4) with the permission of the court
(5) where a court order, PD or rule permits it
When must the application notice be served if there is to be a hearing?
as soon as is practicable after it has been issued and at least 3 days before the hearing date. If the hearing is to take place over the telephone at least 5 days before the date of the hearing.
What hearing swill be conducted by telephone (unless the court orders otherwise)?
(1) allocation hearings
(2) listing hearings
(3) interim applications, case management conferences and pre-trial review with a time estimate of no more than 1 hour.
Molecular data that have nothing to do with the entry
____________
Density functional theory data (wB97M-V/def2-TZVPD) for a molecular structure, C35H29Br2CaGeIP at a distorted geometry.

Structure (XYZ):
```
70
Properties=species:S:1:pos:R:3:mulliken_charge:R:1
Ca -0.99 -0.20 -0.23 0.59
I -1.08 -0.60 2.82 0.34
C 0.81 -0.94 3.78 0.14
C 0.60 -0.81 5.12 -0.83
C 1.65 -1.05 6.03 -0.93
C 2.86 -1.42 5.54 -0.85
C 3.09 -1.54 4.15 0.97
C 4.39 -1.93 3.74 -0.77
C 4.70 -2.08 2.43 -1.40
C 3.71 -1.83 1.47 -0.66
C 2.43 -1.43 1.80 1.67
P 1.47 -1.11 0.28 -0.62
C 1.47 -2.71 -0.58 1.50
C 2.35 -3.17 -1.56 -0.22
C 2.24 -4.46 -2.05 -0.85
C 1.25 -5.31 -1.57 -0.56
C 0.36 -4.86 -0.61 -0.79
C 0.47 -3.57 -0.12 -0.59
C 2.32 0.25 -0.56 1.20
C 3.37 0.21 -1.48 -0.36
C 3.88 1.40 -2.00 -0.86
C 3.36 2.63 -1.62 -0.64
C 2.33 2.68 -0.69 -1.08
C 1.81 1.50 -0.18 -0.38
C 2.06 -1.29 3.18 0.71
H -0.37 -0.54 5.51 0.41
H 1.47 -0.95 7.09 0.42
H 3.68 -1.63 6.21 0.42
H 5.13 -2.11 4.51 0.44
H 5.69 -2.38 2.12 0.47
H 3.98 -1.95 0.43 0.24
H 3.13 -2.53 -1.96 0.15
H 2.93 -4.81 -2.80 0.47
H 1.18 -6.32 -1.94 0.45
H -0.41 -5.52 -0.22 0.48
H -0.22 -3.24 0.66 0.32
H 3.81 -0.72 -1.79 0.22
H 4.69 1.35 -2.72 0.46
H 3.77 3.54 -2.03 0.45
H 1.95 3.64 -0.36 0.55
H 1.03 1.56 0.59 0.88
Br -0.59 -0.98 -3.28 -0.02
C -1.95 -2.34 -3.11 -0.47
Br -2.98 -2.11 -1.49 -0.08
H -1.47 -3.31 -3.07 0.41
H -2.63 -2.25 -3.95 0.45
Ge -1.97 2.58 -1.22 0.09
C -2.59 2.51 0.56 1.13
C -2.07 3.52 1.39 -0.64
C -2.72 3.80 2.58 -0.81
C -3.83 3.05 2.95 -0.46
C -4.32 2.02 2.14 -0.79
C -3.69 1.73 0.95 0.10
C -2.98 2.37 -2.77 1.05
C -4.16 1.60 -2.84 -0.17
C -5.00 1.77 -3.92 -0.80
C -4.66 2.68 -4.93 -0.42
C -3.48 3.42 -4.87 -0.74
C -2.62 3.26 -3.81 -0.32
H -0.87 3.63 -1.40 -0.03
H -1.20 4.10 1.10 0.39
H -2.36 4.60 3.21 0.46
H -4.32 3.26 3.89 0.47
H -5.19 1.46 2.45 0.48
H -4.09 0.95 0.31 0.22
H -4.42 0.91 -2.06 0.19
H -5.92 1.22 -3.98 0.46
H -5.32 2.80 -5.78 0.44
H -3.24 4.13 -5.66 0.43
H -1.70 3.82 -3.77 0.39
```

Kohn-Sham gap   4.2181 eV
HOMO energy   -15.29 eV
Energy above the lowest of the compared OMol25 structures with the same formula, charge and spin   14.3 kJ/mol
Lowest unoccupied orbital energy   -0.4070 Ha
Total energy   -9891.7830 Ha
Charge   +3

Density functional theory data (wB97M-V/def2-TZVPD) for 7 unconnected molecules or ions with the total composition C13H21F3N4O17 at a distorted geometry.

Structure (XYZ):
```
58
Properties=species:S:1:pos:R:3:mulliken_charge:R:1
C 0.09 1.02 4.32 -0.30
C -0.62 1.99 3.37 0.88
O -0.05 3.19 3.61 -0.38
C 0.70 3.14 4.78 0.54
O 1.45 4.03 5.21 -0.56
O 0.61 1.89 5.32 -0.35
F -1.93 2.06 3.52 -0.33
H 0.90 0.48 3.82 0.16
H -0.59 0.21 4.58 0.42
H -0.39 1.82 2.32 -0.16
C 3.37 3.25 -0.17 -0.59
C 1.88 3.26 -0.53 0.27
O 1.41 2.43 0.48 -0.10
C 2.38 1.63 1.01 0.52
O 2.18 0.60 1.62 -0.56
O 3.56 2.11 0.64 -0.36
F 1.84 2.56 -1.59 -0.26
H 3.60 4.22 0.27 0.33
H 4.05 3.18 -1.02 0.31
H 1.36 4.21 -0.64 0.41
C -2.10 -4.44 -0.87 -0.12
C -3.48 -4.78 -1.18 0.17
O -4.11 -4.27 -0.09 -0.33
C -3.39 -4.47 0.94 0.80
O -3.71 -4.54 2.08 -0.58
O -2.19 -4.60 0.53 -0.35
____________
The entry goes on
When should a request for a direction that a hearing should not be conducted by telephone be made?
at least 7 days before the hearing or such shorter time as the court may permit and must be made by letter.
How will the court determine a request for a direction that a hearing should not be conducted by telephone?
the court shall determine the request without requiring the attendance of the parties.
What interim remedies can the court grant?
(1) interim injunctions
(2) interim declarations
(3) an order relating to property.
(4) an order allowing a person to enter property
When should an order for an interim remedy be made?
it can be made at any time including-
(a) before proceedings are started; and
(b) after judgment has been given.
When may a court grant an interim remedy before a claims been made?
usually only if-
(a) the matter is urgent; or
(b) it is otherwise desirable to do so in the interests of justice and
unless the court orders otherwise, a defendant may not apply for any of the orders before he has filed either an AoS or a defence.
How can a party apply for an interim remedy?
(1) the court may grant an interim remedy on an application made without notice if it appears to the court that there are good reasons for not giving notice.
(2) an application for an interim remedy must be supported by evidence
(3) if the application is made without giving notice reasons must be provided in the application as to why notice has not be given.
Where no notice is being given, what should the applicant still do?
take steps to notify the respondent informally of the application.
What is the general rule of evidence for an application for an interim remedy?
that it should be by witness statement rather than affidavit, unless the court requires otherwise.
Parties can also rely on the matters set out in- (a) their statement of case, or (b) their application, provided that the statement of case or application is verified by a statement of truth.
When will a hearing on an application for interim remedy be in private?
they are usually heard in public, unless there are exceptional circumstances where publicity would defeat the object of the hearing, that a hearing is on application without notice and it would be unjust to any respondent for their to be a public hearing etc.
To grant an interim injunction without notice is what?
an exceptional remedy
What is the duty of the applicant for disclosure where an application made without notice?
to make full and frank disclosure of all matters relevant to the application- all matters of fact or law which are or may be adverse to the applicant.
What is the golden rule on an application made without notice?
that the party who makes the application must identify any material facts and particular any which may constitute a defence or some ground for not granting the order sought.
What might the court do in an injunction case where the duty of full and fair disclosure is not observed?
they may discharge the injunction.
Who is the obligation of full disclosure owed to?
to the court itself, which exists in order to secure the integrity of the court’s process and to protect the interests of those potentially affected by whatever order the court makes.
What will the court consider when deciding what the consequences of any breach of duty is?
the court will take into account all the circumstances, including the gravity of the breach, the excuse or explanation offered and the severity and duration of the prejudice occasioned to the defendant.
What happens where an injunction has been discharged due to a failure to comply with duty of disclosure when the injunction was granted without notice and the applicant wants a new injunction to be granted?
the judge has a balancing task to perform. They will however, grant the injunction if the injustice of not granting it outweighs the injustice of granting it, but may impose cost sanctions.
What are the two categories of urgent applications/applications without notice?
(1) applications where a claim form has already been issued, and
(2) applications where a claim form has not yet been issued
In both cases, notice has not been given to the respondent.
How will urgent applications normally be dealt with?
at a court hearing, but if the case is one of extreme urgency, dealt with by telephone.
What happens with applications dealt with at a court hearing after the issue of a claim form?
(1) the application notice, evidence in support and a draft order should be filed with the court two hours before the hearing wherever possible
(2) if an application is made before the application notice has been issued, a draft order should be provided at the hearing, and the application notice and evidence in support must be filed with the court on the same or next working day or as ordered by the court; and
(3) except in cases where secrecy is essential, the applicant should take steps to notify the respondent informally of the application.
What happens with applications made before the issue of a claim form?
(1) unless the court orders otherwise, either the applicant must undertake to the court to issue a claim form immediately or the court will give directions for the commencement of the claim.
(2) where possible the claim form should be served with the order for the injunction
(3) an order made before the issue of a claim form should state in the title after the names of the applicant and respondent “Claimant and Defendant in an Intended Action”
What must an order for injunction contain?
(1) an undertaking by the applicant to the court to pay any damages which the respondent sustains
(2) if made without notice, an undertaking bu the application,ciant to the court to serve on the respondent the application notice and evidence made as soon as practicable.
(3) if made without notice to any other party, a return date for a further hearing at which the other party can be present
(4) if made before filing the application notice, an undertaking to file and pay the appropriate fee on the same or next working day; and
(5) if made before the issue of a claim form-
(a) an undertaking to pay and issue the appropriate fee; or
(b) directions for the commencement of the claim.